White Spruce Farms was established in 2001 and has evolved into a unique place for riders to learn safely and affordably with Susan's unique systematic approach to teaching traditional dressage and safe horsemanship in a way that addresses the promotion of Confidence in both horse and rider through education, fitness and mindfulness. We offer private riding lessons, weekly group groundwork lessons, Free Video Training Series as well as Susan's unique progressive web app with systematic lessons on improving confidence. Sunday lessons on the farm for beginner and intermediate riders are taught by Jessie Blakeney- Hayward. Susan is available for off farm lessons on Sundays. We take great pride in our ability to run a quality program that allows us to provide affordable and safe lessons. To learn more about our program please check out our Lessons and Training page.
Susan Rainville is the owner, head trainer and riding instructor at White Spruce Farms. She has 23 years teaching experience and is a USDF Bronze and Silver medalist. Over the past 23 years Susan has developed a systematic approach to helping riders have a Confident relationship with horses. Many students of all ages have come through with different levels of experience and issues and have helped Susan develop her Confidence Connection Method. To learn more please check out the Confidence Coaching page on this site.
[Records of molecules from another source follow]
'''
ORCA calculation (ωB97M-V/def2-TZVPD) on a structure of composition C23H47As3PdSb2.

XYZ file:
```
76
Properties=species:S:1:pos:R:3:forces:R:3
Pd -0.002 -0.239 -0.276 -0.312 -0.272 0.022
C -3.042 -3.419 -1.352 0.023 -0.070 -0.045
Sb -1.078 -2.574 -1.130 0.142 0.542 -0.004
C -0.149 -4.342 -0.367 0.025 -0.021 0.095
C -0.494 -2.757 -3.242 0.019 0.056 0.076
C 0.710 -3.617 -3.461 -0.047 -0.041 0.000
C 0.526 -4.992 -3.617 0.011 -0.006 0.005
C 1.590 -5.867 -3.755 -0.043 -0.019 0.004
C 2.883 -5.369 -3.741 0.034 0.012 -0.001
C 3.081 -4.004 -3.618 0.009 0.000 0.003
C 2.019 -3.107 -3.489 0.021 -0.126 0.028
C 2.327 -1.646 -3.407 -0.028 0.145 -0.088
Sb 2.219 -0.783 -1.424 0.184 0.093 0.023
C 3.697 -2.076 -0.560 -0.009 -0.017 -0.012
C 3.530 0.858 -1.881 -0.001 -0.014 0.020
H -2.966 -4.418 -1.783 -0.030 -0.005 0.001
H -3.644 -2.789 -2.005 0.004 0.019 0.004
H -3.528 -3.481 -0.379 -0.001 -0.001 0.007
H -0.101 -5.147 -1.097 -0.043 0.013 -0.014
H -0.713 -4.672 0.506 -0.007 0.011 -0.002
H 0.862 -4.091 -0.045 0.020 -0.012 -0.024
H -0.337 -1.729 -3.566 -0.011 -0.013 -0.007
H -1.353 -3.157 -3.783 -0.021 -0.022 0.044
H -0.488 -5.378 -3.622 -0.002 0.000 -0.006
H 1.410 -6.928 -3.872 -0.005 0.002 0.003
H 3.730 -6.034 -3.842 0.003 0.003 -0.002
H 4.092 -3.611 -3.637 -0.001 0.007 -0.002
H 1.653 -1.053 -4.029 -0.006 -0.016 0.016
H 3.343 -1.461 -3.758 0.006 -0.004 0.002
H 4.635 -2.031 -1.115 -0.007 0.016 -0.017
H 3.324 -3.100 -0.579 -0.001 0.003 -0.005
H 3.875 -1.791 0.476 -0.005 0.018 0.000
H 4.473 0.509 -2.302 -0.008 -0.025 -0.003
H 3.729 1.428 -0.974 -0.002 -0.007 0.002
H 3.038 1.515 -2.599 -0.001 -0.006 -0.003
C -0.868 -0.251 3.570 0.022 0.005 0.009
As 0.338 0.234 2.104 0.075 -0.144 -0.131
C 1.993 -0.373 2.957 -0.013 0.028 -0.006
C 0.649 2.148 2.450 -0.083 0.068 0.056
C -0.324 3.202 1.883 0.077 -0.044 0.007
C 0.081 4.554 2.492 0.000 -0.046 -0.013
C -0.187 3.358 0.354 -0.076 0.028 0.007
As -0.875 1.968 -0.864 0.080 -0.194 -0.063
C -2.770 2.458 -0.991 0.028 0.039 0.038
C -0.306 2.881 -2.501 0.025 -0.011 0.020
C -1.780 2.886 2.246 -0.030 -0.017 0.043
As -2.241 2.943 4.175 -0.053 0.097 -0.057
C -4.044 2.195 3.944 0.043 -0.012 0.003
C -2.831 4.819 4.272 0.014 -0.021 0.003
H -1.903 -0.066 3.285 0.000 0.015 0.011
H -0.632 0.294 4.485 -0.009 -0.014 -0.022
H -0.755 -1.321 3.746 0.007 -0.013 -0.021
H 2.087 0.017 3.972 0.001 0.002 0.000
H 2.840 -0.037 2.359 0.001 0.003 0.001
H 2.000 -1.463 2.983 -0.012 0.002 0.000
H 1.647 2.343 2.045 0.003 -0.003 0.016
H 0.716 2.266 3.536 -0.012 -0.001 -0.009
H 1.094 4.823 2.187 0.002 -0.009 -0.004
H 0.062 4.511 3.584 0.019 0.017 -0.010
H -0.595 5.347 2.164 -0.004 0.001 0.009
H 0.874 3.451 0.102 -0.009 -0.003 -0.027
H -0.670 4.294 0.052 -0.003 0.001 0.017
H -2.893 3.542 -0.977 -0.014 -0.003 -0.003
H -3.338 2.012 -0.177 0.012 0.002 0.012
H -3.153 2.066 -1.933 0.018 -0.012 -0.003
H -0.638 3.920 -2.513 -0.002 -0.002 0.000
H -0.720 2.357 -3.362 -0.007 -0.005 0.006
H 0.781 2.846 -2.565 0.000 0.006 0.003
H -2.039 1.881 1.896 -0.003 0.016 -0.001
'''
[Back to the page]
Susan and her horse Tattoo have competed in multiple Regional Championships at Second, Third, and Fourth Level and have also successfully shown at FEI Prix St. Georges and Intermediare. Many wonderful trainers like Willam Warren, Bill McMullen, Lendon Grey, Jane Karol, Nancy Lavoie, Gerrit Claes Bierenbroodspot and Conrad Schumacher gave Susan the traditional dressage foundation needed to achieve the success she has had with Tattoo. Many hours of observation and participation in Dressage4Kids Inc. programs has greatly contributed to Susan's knowledge, riding and teaching abilities.
With the help of her wonderful gelding Bastian, Susan expanded her education by learning Response training and trick training to help not only enhance dressage training but to help horses who haven't always had the best start. In addition to Bastian and Susan having had the pleasure of working one on one with Tristan Tucker, Susan is a faithful subscriber to Tristan's on-line training and is very grateful to the knowledge she has gained through it to help Bastian overcome being a very scared and reactive horse. He is now a cool cucumber at the horse shows where he and Susan have successfully competed Training level through Second level. Bastian currently has a career as a school horse and his dressage training continues to progress into Third level. Susan continues to use all she has learned with Bastian on every horse she works with.
_What comes next are data records, not part of the page_
********
No. 1
Entry from the OMol25 dataset: a molecular structure, C45H47MnN5O7S in a non-equilibrium geometry (ωB97M-V/def2-TZVPD).

```
106
Properties=species:S:1:pos:R:3:lowdin_spin:R:1
Mn -0.629 0.782 1.309 4.658
O -0.869 3.270 6.974 0.004
C -0.796 2.708 5.915 0.002
C -1.936 2.470 4.935 0.001
O -3.104 2.773 5.101 -0.003
C -1.316 1.824 3.797 0.005
C 0.068 1.682 3.948 0.007
O 0.815 1.207 3.011 0.052
C 0.471 2.111 5.292 0.004
O 1.551 2.002 5.826 0.007
O -1.888 1.420 2.694 0.061
O -0.494 -1.325 2.252 0.030
S 0.054 -2.002 3.477 0.006
C 0.653 -3.597 2.870 0.002
C 2.073 -3.446 2.384 0.000
C 3.153 -3.713 3.221 0.000
C 4.453 -3.476 2.792 0.000
C 4.687 -2.969 1.519 0.000
C 3.616 -2.704 0.677 0.000
C 2.316 -2.937 1.109 0.000
C -1.415 -2.562 4.384 0.001
C -2.533 -2.956 3.464 0.000
C -3.311 -1.966 2.865 0.000
C -4.346 -2.319 2.009 0.000
C -4.612 -3.657 1.742 0.000
C -3.825 -4.647 2.318 0.000
C -2.787 -4.294 3.172 0.000
H -0.031 -3.857 2.058 0.000
H 0.570 -4.319 3.686 0.000
H 2.976 -4.107 4.217 0.000
H 5.284 -3.684 3.455 0.000
H 5.702 -2.781 1.186 0.000
H 3.793 -2.311 -0.318 0.000
H 1.476 -2.715 0.459 0.000
H -1.680 -1.695 4.991 0.000
H -1.085 -3.370 5.039 0.000
H -3.099 -0.917 3.055 0.000
H -4.945 -1.540 1.553 0.000
H -5.432 -3.929 1.089 0.000
H -4.026 -5.692 2.115 0.000
H -2.180 -5.070 3.630 0.000
C 6.921 1.377 -2.473 0.000
C 5.634 1.210 -1.715 0.003
C 5.587 1.382 -0.338 0.000
C 4.415 1.186 0.380 0.003
C 4.431 1.406 1.880 0.000
C 3.256 0.801 -0.320 0.001
C 2.090 0.491 0.520 0.018
O 0.959 0.247 0.121 0.034
C 3.267 0.670 -1.720 0.002
C 2.061 0.264 -2.543 0.001
C 4.462 0.878 -2.389 0.000
H 7.754 1.583 -1.803 0.000
H 6.847 2.199 -3.189 0.000
H 7.151 0.473 -3.038 0.000
H 6.486 1.678 0.192 0.000
H 5.352 1.909 2.168 0.000
H 4.385 0.458 2.424 0.000
H 3.592 2.008 2.230 0.000
H 2.248 0.468 1.606 0.001
H 1.116 0.507 -2.071 0.000
H 2.065 -0.818 -2.705 0.000
H 2.114 0.736 -3.527 0.000
H 4.482 0.771 -3.470 0.000
N -0.839 6.185 -8.065 0.000
C -0.925 5.805 -6.985 0.000
C -1.035 5.320 -5.617 0.000
C -0.315 4.206 -5.216 0.000
C -0.418 3.743 -3.915 0.000
C -1.232 4.403 -3.008 0.000
C -1.950 5.518 -3.402 0.000
C -1.855 5.973 -4.709 0.000
N -1.338 3.920 -1.674 0.004
C -2.373 4.149 -0.768 0.000
C -2.063 3.437 0.340 0.004
N -0.852 2.786 0.150 0.032
C -0.457 3.089 -1.050 0.009
H 0.319 3.693 -5.927 0.000
H 0.129 2.857 -3.619 0.000
H -2.568 6.053 -2.694 0.000
H -2.416 6.843 -5.022 0.000
H -3.231 4.758 -1.001 0.000
H -2.604 3.334 1.271 0.000
H 0.482 2.784 -1.492 0.000
C -3.263 -2.323 -4.032 0.000
C -3.920 -2.109 -2.674 0.001
N -2.956 -1.861 -1.605 0.005
C -2.120 -2.989 -1.205 0.000
C -0.651 -2.824 -1.584 0.000
C -2.823 -0.659 -0.969 0.010
C -3.602 0.515 -1.496 0.001
N -2.084 -0.482 0.070 0.030
H -4.022 -2.442 -4.809 0.000
H -2.635 -3.219 -4.037 0.000
H -2.634 -1.466 -4.292 0.000
H -4.512 -2.987 -2.403 0.000
H -4.610 -1.274 -2.731 0.000
H -2.524 -3.873 -1.696 0.000
H -2.226 -3.162 -0.129 0.000
H -0.558 -2.594 -2.649 0.000
H -0.108 -3.752 -1.384 0.000
H -0.174 -2.018 -1.024 0.000
********
Currently Susan's pride and joy is her beautiful 7 year old mare Esprit Du Feu. The pair have been together since Esprit was 2 years old. Susan has backed and trained Esprit herself with the kind guidance from Bill McMullen and Jane Karol. Esprit has already had a very successful show career having earned her USDF Training and First level Performance awards and completing all the requirements for the USDF ALL BREEDS AWARD at training level and first level as a 5 and 6 year old. At this time Esprit. is currently working and showing at second level. Susan and Esprit have recently been chosen to receive The Verne Batchelder Instructor's Fund Grant from The Dressage Foundation to continue Esprit's training into Third Level.
Susan has generously put together a free training video series. Please find Susan Rainville on YouTube and Subscribe for free. You can also find the Free Training Series on Susan's Confidence Coaching site where the lessons are arranged in a fun follow along format that is easier to keep track of where you left off then going directly to YouTube.
Jessie Blakeney-Hayward is the assistant trainer at White Spruce Farms. She teaches beginner and intermediate dressage lessons on Sundays. Jessie has apprenticed and worked with Susan for the past 6 years.
Susan Rainville is the owner, head trainer and riding instructor at White Spruce Farms. She has 23 years teaching experience and is a USDF Bronze and Silver medalist. Over the past 23 years Susan has developed a systematic approach to helping riders have a Confident relationship with horses. Many students of all ages have come through with different levels of experience and issues and have helped Susan develop her Confidence Connection Method. To learn more please check out the Confidence Coaching page on this site.
Susan and her horse Tattoo have competed in multiple Regional Championships at Second, Third, and Fourth Level and have also successfully shown at FEI Prix St. Georges and Intermediare. Many wonderful trainers like Willam Warren, Bill McMullen, Lendon Grey, Jane Karol, Nancy Lavoie, Gerrit Claes Bierenbroodspot and Conrad Schumacher gave Susan the traditional dressage foundation needed to achieve the success she has had with Tattoo. Many hours of observation and participation in Dressage4Kids Inc. programs has greatly contributed to Susan's knowledge, riding and teaching abilities.
With the help of her wonderful gelding Bastian, Susan expanded her education by learning Response training and trick training to help not only enhance dressage training but to help horses who haven't always had the best start. In addition to Bastian and Susan having had the pleasure of working one on one with Tristan Tucker, Susan is a faithful subscriber to Tristan's on-line training and is very grateful to the knowledge she has gained through it to help Bastian overcome being a very scared and reactive horse. He is now a cool cucumber at the horse shows where he and Susan have successfully competed Training level through Second level. Bastian currently has a career as a school horse and his dressage training continues to progress into Third level. Susan continues to use all she has learned with Bastian on every horse she works with.
Currently Susan's pride and joy is her beautiful 7 year old mare Esprit Du Feu. The pair have been together since Esprit was 2 years old. Susan has backed and trained Esprit herself with the kind guidance from Bill McMullen and Jane Karol. Esprit has already had a very successful show career having earned her USDF Training and First level Performance awards and completing all the requirements for the USDF ALL BREEDS AWARD at training level and first level as a 5 and 6 year old. At this time Esprit. is currently working and showing at second level. Susan and Esprit have recently been chosen to receive The Verne Batchelder Instructor's Fund Grant from The Dressage Foundation to continue Esprit's training into Third Level.
Susan has generously put together a free training video series. Please find Susan Rainville on YouTube and Subscribe for free. You can also find the Free Training Series on Susan's Confidence Coaching site where the lessons are arranged in a fun follow along format that is easier to keep track of where you left off then going directly to YouTube.
Jessie Blakeney-Hayward is the assistant trainer at White Spruce Farms. She teaches beginner and intermediate dressage lessons on Sundays. Jessie has apprenticed and worked with Susan for the past 6 years.